┌──
VASP calculation (PBE-GGA) on an optimized crystal structure of ErLuRe.

- Energy of formation: 1088 meV/atom
- Magnetization: 0.0 μB per cell
- E: -6.081 eV per atom

abc: 6.6728 6.6728 6.6728
angles: 90.00 90.00 90.00
Space group F-43m (No. 216)
Asymmetric unit:
Er  0.0000  0.0000  0.0000 x4
Lu  0.2500  0.2500  0.2500 x4
Re  0.0000  0.0000  0.5000 x4

***

VASP calculation (PBE-GGA) on an optimized crystal structure of Sm2GaPb.

- Magnetization: 0.1 μB per cell
- E: -4.618 eV per atom

abc: 4.2830 4.5712 11.5357
angles: 90.00 90.00 90.00
Space group Amm2 (No. 38)
Asymmetric unit:
Sm  0.0000  0.0000  0.0000 x2
Sm  0.5000  0.0000  0.2797 x2
Ga  0.5000  0.0000  0.5467 x2
Pb  0.0000  0.0000  0.7159 x2

***

VASP calculation (PBE-GGA) on an optimized crystal structure of HfScIr2.

- Energy of formation: -992 meV/atom
- Magnetization: 0.0 μB per cell
- E: -9.491 eV per atom
- Offset from the most stable computed form: 0 meV per atom

abc: 4.4444 4.4444 6.9370
angles: 90.00 90.00 90.00
Space group I4/mmm (No. 139)
Asymmetric unit:
Hf  0.0000  0.0000  0.0000 x2
Sc  0.0000  0.0000  0.5000 x2
Ir  0.0000  0.5000  0.2500 x4

***

Q: What is the E in the second record?
A: -4.618 eV per atom

***

Repeat the first record exactly.
VASP calculation (PBE-GGA) on an optimized crystal structure of ErLuRe.

- Energy of formation: 1088 meV/atom
- Magnetization: 0.0 μB per cell
- E: -6.081 eV per atom

abc: 6.6728 6.6728 6.6728
angles: 90.00 90.00 90.00
Space group F-43m (No. 216)
Asymmetric unit:
Er  0.0000  0.0000  0.0000 x4
Lu  0.2500  0.2500  0.2500 x4
Re  0.0000  0.0000  0.5000 x4


# 1
A plane-wave DFT calculation with PBE-GGA was carried out for crystalline NaNiTe2I at its relaxed geometry.

Results
mass density	5.1	g/cm3
spin magnetization	0.0	μB per formula unit

Unit cell a=5.0527 b=5.0527 c=5.8685 alpha=90.00 beta=90.00 gamma=90.00
Closest atoms and distances in Å follow each position.
Space group P4/mmm (No. 123)
Unique sites:
Na 0.0000 0.0000 0.0000 x1  4 I 3.57, 8 Te 3.87
Ni 0.5000 0.5000 0.5000 x1  4 Te 2.53
Te 0.0000 0.5000 0.5000 x2  2 Ni 2.53
I 0.5000 0.5000 0.0000 x1  2 Ni 2.93

***

# 2
A plane-wave DFT calculation with PBE-GGA was carried out for crystalline NaNiTeI2 at its relaxed geometry.

Results
mass density	4.9	g/cm3
spin magnetization	0.9	μB per formula unit

Unit cell a=5.6208 b=5.6208 c=4.9659 alpha=90.00 beta=90.00 gamma=90.00
Closest atoms and distances in Å follow each position.
Space group P4/mmm (No. 123)
Unique sites:
Na 0.0000 0.0000 0.0000 x1  8 I 3.75, 4 Te 3.97
Ni 0.5000 0.5000 0.5000 x1  2 Te 2.48
Te 0.5000 0.5000 0.0000 x1  2 Ni 2.48
I 0.0000 0.5000 0.5000 x2  2 Ni 2.81

***

# 3
A plane-wave DFT calculation with PBE-GGA was carried out for crystalline NaNiTeI2 at its relaxed geometry.

Results
mass density	4.0	g/cm3
spin magnetization	3.0	μB per formula unit

Unit cell a=5.7919 b=5.7919 c=5.7939 alpha=90.00 beta=90.00 gamma=90.00
Closest atoms and distances in Å follow each position.
Space group P4/mmm (No. 123)
Unique sites:
Na 0.0000 0.0000 0.0000 x1  4 I 2.90, 2 Te 2.90
Ni 0.5000 0.5000 0.5000 x1  4 Te 4.10, 8 I 4.10
Te 0.0000 0.0000 0.5000 x1  2 Na 2.90
I 0.0000 0.5000 0.0000 x2  2 Na 2.90

***

# 4
A plane-wave DFT calculation with PBE-GGA was carried out for crystalline Na3Tl3NiI8 at its relaxed geometry.

Results
mass density	4.8	g/cm3
spin magnetization	2.0	μB per formula unit

Unit cell a=9.2887 b=9.2887 c=24.5065 alpha=90.00 beta=90.00 gamma=120.00
Closest atoms and distances in Å follow each position.
Space group R-3m (No. 166, hexagonal axes)
Unique sites:
Na 0.0000 0.5000 0.0000 x9  6 I 3.24-3.29
Tl 0.0000 0.5000 0.5000 x9  6 I 3.51-3.54
Ni 0.0000 0.0000 0.0000 x3  6 I 2.82
I 0.0000 0.0000 0.2593 x6  3 Na 3.24, 3 Tl 3.51
I 0.0440 0.5220 0.7319 x18  1 Ni 2.82

***

# 5
A plane-wave DFT calculation with PBE-GGA was carried out for crystalline NaNpI6 at its relaxed geometry.

Results
mass density	4.6	g/cm3
spin magnetization	2.0	μB per formula unit
└──

Please say how many lines of the material further up hold the word "in", as a bare number.

5